Sunday, December 11, 2022

 The Candle In Her Eyes

The eyes, burning calm on the midnight of lamps,
disembarked from the flow, behold the night unveil
like a candle in the wind,
caught in the backwaters of the familiar sea,
something hit the waters without a wave or a ripple.
The candle in her eyes burnt steady.
May be a closeup

 Dainty, crisp and witty, the woman

stares at the crystal green,
the window half closing and half revealing
what was aimed and what was gained.
A body still supple and lean and a mind still scintillating.
The stars and the sky are best revealed
when watched from a window, crystal green.
Sushama Karnik.
Thanks for the image Karine Kergroac'h
May be an image of 1 person and indoor

Tuesday, October 25, 2022

Billede: Charles Sprague Pearce - Archetron, The Free Social Encyclopedia

 Some days are there when nothing works

**Here the text breaks off for data records**
____________
(1)
First-principles (PBE) data for AgPb3N after structural relaxation, as listed in the Alexandria database.

Summary:
Excess energy over the best structure of this formula in the dataset: 20.286 kcal/mol of atoms
Uncorrected formation energy: 7.28 eV/f.u.
Symmetry: Pm-3m
Total magnetic moment: 0.00 μB/f.u.

abc: 5.4194 5.4194 5.4194
angles: 90.00 90.00 90.00
Sites, in units of the cell vectors:
Ag 0.0000 0.0000 0.0000
N 0.5000 0.5000 0.5000
Pb 0.0000 0.0000 0.5000
Pb 0.5000 0.0000 0.0000
Pb 0.0000 0.5000 0.0000



(2)
First-principles (PBE) data for ReAgPbN2 after structural relaxation, as listed in the Alexandria database.

Summary:
Uncorrected formation energy: 11.83 eV/f.u.
Symmetry: P4/mmm
Total magnetic moment: 5.31 μB/f.u.

abc: 4.1015 5.4659 4.1015
angles: 90.00 90.00 90.00
Sites, in units of the cell vectors:
N 0.5000 0.0000 0.0000
N 0.0000 0.0000 0.5000
Re 0.0000 0.5000 0.0000
Pb 0.5000 0.5000 0.5000
Ag 0.0000 0.0000 0.0000



Table of V (A^3/atom), in record order: 31.83; 18.39
Table of DFT total energy (eV/atom), in record order: -3.004; -4.766
Table of density of states at the Fermi level (states/eV/cell), in record order: 4.72; 2.46


Compound: BaNp2S5
Source: the Alexandria database
Functional: GGA-PBE
Structure: relaxed

abc: 6.8615 6.8615 13.2106
angles: 90.00 90.00 134.05
With the nearest neighbours (Å) after each atom.
Element x y z (fractional)
Ba  0.0360  0.9640  0.7500  5 S 3.19-3.31
Ba  0.9640  0.0360  0.2500  5 S 3.19-3.31
Np  0.3521  0.6479  0.5554  6 S 2.61-2.70
Np  0.3521  0.6479  0.9446  6 S 2.61-2.70
Np  0.6479  0.3521  0.0554  6 S 2.61-2.70
Np  0.6479  0.3521  0.4446  6 S 2.61-2.70
S  0.1646  0.8354  0.0422  3 Np 2.69-2.70
S  0.1646  0.8354  0.4578  3 Np 2.69-2.70
S  0.2981  0.7019  0.7500  2 Np 2.66
S  0.4524  0.5476  0.1198  2 Np 2.61-2.64
S  0.4524  0.5476  0.3802  2 Np 2.61-2.64
S  0.5476  0.4524  0.6198  2 Np 2.61-2.64
S  0.5476  0.4524  0.8802  2 Np 2.61-2.64
S  0.7019  0.2981  0.2500  2 Np 2.66
S  0.8354  0.1646  0.5422  3 Np 2.69-2.70
S  0.8354  0.1646  0.9578  3 Np 2.69-2.70

Output
The value obtained for the density of states at the Fermi level is 20.81 states/eV/f.u. Its symmetry is No. 63. The value obtained for the uncorrected formation energy is -1.487 eV per atom.


[1]
A relaxed structure of K2BiI. Source: the Alexandria database, functional PBE-GGA.

* V: 42.658 Å³ per atom
* magnetic moment: 2.0 μB/f.u.
* total DFT energy (no corrections): -2.402 eV/atom

a = 8.8046 Å, b = 8.8046 Å, c = 8.8046 Å
α = 90.00°, β = 90.00°, γ = 90.00°
Last column: nearest neighbours and their distance in Å.
Space group Fm-3m (No. 225)
Inequivalent atoms, fractional coordinates:
K  0.2500  0.2500  0.2500 x8  4 I 3.81, 4 Bi 3.81
Bi  0.0000  0.0000  0.0000 x4  8 K 3.81
I  0.0000  0.0000  0.5000 x4  8 K 3.81


[2]
A relaxed structure of K2LiBiI6. Source: the Alexandria database, functional PBE-GGA.

* V: 47.998 Å³ per atom
* magnetic moment: 0.0 μB/f.u.
* total DFT energy (no corrections): -2.730 eV/atom
____________

Despite the meticulous planning
an unforeseen error has to happen!
The youngest sibling had volunteered
to see through it all and dreamt of a perfect time out
by the sea and everything was taken care of.
What went wrong? Something missing?
The sisters wait patiently and
let her work it out. "Patience", they seem to say.
But the suspense is writ large on their faces.
I can understand the panic in the sibling's heart.
A moment of Deja vu for me.
I was there some day and seen it all.
Sushama Karnik.
Image charles sprague pearce: solitude

Billede: Charles Sprague Pearce - Archetron, The Free Social Encyclopedia

Monday, September 12, 2022

 कितनी दूरियों से कितनी बार

कितनी डगमग नावों में बैठ कर
मैं तुम्हारी ओर आया हूँ
ओ मेरी छोटी-सी ज्योति!
कभी कुहासे में तुम्हें न देखता भी
पर कुहासे की ही छोटी-सी रुपहली झलमल में
पहचानता हुआ तुम्हारा ही प्रभा-मंडल।
कितनी बार मैं,
धीर, आश्वस्त, अक्लांत—
ओ मेरे अनबुझे सत्य! कितनी बार...
और कितनी बार कितने जगमग जहाज़
मुझे खींच कर ले गये हैं कितनी दूर
किन पराए देशों की बेदर्द हवाओं में
जहाँ नंगे अंधेरों को
और भी उघाड़ता रहता है
एक नंगा, तीखा, निर्मम प्रकाश—
जिसमें कोई प्रभा-मंडल नहीं बनते
केवल चौंधियाते हैं तथ्य, तथ्य—तथ्य—
सत्य नहीं, अंतहीन सच्चाइयाँ...
कितनी बार मुझे
खिन्न, विकल, संत्रस्त—
कितनी बार!
How often having covered distances,
in derelict boats
have I travelled to come to you,
There were times when the fog hid you from my view
but within the fog was a shimmering light,
a light that did not dim,
and in that light I would know the aura that was only you.
How often, I, steady, assured, never tired,
O my light, my truth that would never be put out;

And how often, how many tall ships, dazzling me with their lights
lured me far away to the inclement climates of foreign lands
the naked darkness of which was all the more exposed by
a naked, hurting, alien light,
a light that had no place for auras,
a light which displayed only blinding facts,
facts, facts, and nothing but facts, but never the truth!
Never the truth, only endless realities
which dazzled me , o so often!
And made me sad, distraught, restless...
O how often!

Saturday, September 10, 2022

 Once, I was listening to a melody and I got to the bottom of my heart,

I looked up into the sky and saw a single cloud in rainbow colors.

Suma Ro 10 Sept. 2022 

Saturday, September 3, 2022

 I opened my window: a voice entered:

Clear, soft, somewhat choppy.
She wanted to stay...
Since then, well established,
She makes the words sing
And captivates my soul...
She addresses the sea,
Knows how to charm the moon,
And dance before my eyes...
O voice, I say to her,
Take me to the land of jasmine!
I would stop there...
I like voices
The ones I know
And the ones I guess...
There is one voice, precious,
Far and so close at the same time,
Wild and tender too...
She is Light,
the daughter of rhythm and image.
Her name is Harmony.
O voice, I say to her,
Take me to the land of jasmine!
I would stop there...
1 Comment

Tuesday, May 10, 2022

 Some mornings are marked in the calendar.

A dusty barren walkway

trodden everyday.

The night had nurtured seeds silently

and the morning sun watched the night depart.

Small sprouts surfaced by the time,

and the night did not know.

But the ever vigilant sun noticed.

The seedlings danced with the wind

carrying in their heart the secret the night never knew.

They were the offspring of darkness and the light.

May be an image of nature

Thursday, May 5, 2022

 My last motif is the window. A gateway to lives and people, 

to all that exists in fragmentation. , 

An endless sea, and the infinite sky that overhangs and follows,

and me like a tired carpenter,

mending, replacing,

putting together

the broken parts.

to not let the deluge break into me.

Filling in the gaps with stitches.

I keep myself busy

because one day they are to come through the window

the sky and the sea

I am indecisive whether to let them in

or barricade 

my precarious fragile existence.

On a calm rainy day it changes. 

The wall between me and the world is sawed off. 

The sea and the sky invade,


Wednesday, May 4, 2022

 Morning! Reflections.

Swirling tides. Falling off.

The sunrise

Haze in the midst of light. 

Morning. I want to sleep, lest this mirage slip in the sands.

Rolling shadows.

A choppy sea, felt from the windows of a submarine.

No bird sings.

A calm that descends 

and closes the wind. 

Tuesday, May 3, 2022

 Venus in the sky of a moonless night,

a swan in a shimmering lake of dawn,
single on the occult path strewn with specks of light,
the stillness of the mist in a lake without a ripple,
she comes with the dawn, and melts
with the coming of the sun.
For more than a quarter of a year
the Venus shines in the east
only to disappear for long,
and comes back with opulence
once again in the west.
She resonates with lovers.
Her reverberations fall on earth
and brighten her occult path.
As like an angel cursed
she stays for a borrowed interval of time
tossing her mystical rays on the evening sky
in waves of orange, blue and mauve
in the arms of the darkness waiting at the end of the sky.
When the evening arrives, I pray,
: Let the light of Venus stay.
There are innumerable pages yet to be written;
they are fair and blank.
Venus shine; be not dim.
Fear not, faint not, hold up
the lamp which we can dimly see.
Show us beauty, show us sense.
Venus, shine and spread your rays.
Sushama Karnik
May 2020
Image: May night sky: Eyes turn towards brilliant Venus | Register | The ...

 Like a jettisoned cargo the mountain let go

the turbulence of water.
Was it too much of a load for the mountain to carry?
And the water leaped in an ecstasy.
All around the edges of the fall were trees and the moss.
Even in that tremendous leap was the sound
of a prelude to a hymn;
a rapid fall and the slowest of of the melodies
that only a waterfall knows how to sing!
And the valley felt the thrill .
A tiger at night, a lone antelope, wolves and jackals
all stood aghast. Oh the sound of water
falling in the valley, sublime and awesome
in the self-same moment of time!
Sushama Karnik.
Thanks for the image Tighe

Friday, April 29, 2022

____________
# Ac7Pm12Pr GGA-PBE optimized geometry
data_Ac7Pm12Pr
_chemical_formula_sum 'Ac14 Pm24 Pr2'
_cell_length_a 12.129
_cell_length_b 12.129
_cell_length_c 12.129
_cell_angle_alpha 90.00
_cell_angle_beta 90.00
_cell_angle_gamma 90.00
_space_group_name_H-M_alt 'I m -3'
_space_group_IT_number 204
_space_group_name_Hall '-I 2 2 3'
loop_
_atom_site_label
_atom_site_type_symbol
_atom_site_fract_x
_atom_site_fract_y
_atom_site_fract_z
Ac1 Ac 0.000 0.000 0.500
Ac2 Ac 0.250 0.250 0.250
Pm1 Pm 0.000 0.327 0.245
Pr1 Pr 0.000 0.000 0.000
# Formation energy from the elements ... 0.787 eV per atom
# Crystal system ... cubic

***

# Ac2PmPr8 GGA-PBE optimized geometry
data_Ac2PmPr8
_chemical_formula_sum 'Ac4 Pm2 Pr16'
_cell_length_a 13.355
_cell_length_b 7.146
_cell_length_c 9.007
_cell_angle_alpha 90.00
_cell_angle_beta 102.72
_cell_angle_gamma 90.00
_space_group_name_H-M_alt 'C 1 2/m 1'
_space_group_IT_number 12
_space_group_name_Hall '-C 2y'
loop_
_atom_site_label
_atom_site_type_symbol
_atom_site_fract_x
_atom_site_fract_y
_atom_site_fract_z
Ac1 Ac 0.170 0.000 0.193
Pm1 Pm 0.000 0.000 0.500
Pr1 Pr 0.059 0.273 0.838
Pr2 Pr 0.126 0.500 0.488
Pr3 Pr 0.223 0.500 0.175
# Formation energy from the elements ... 0.147 eV per atom
# Crystal system ... monoclinic

***

# AcPm2Pr7 GGA-PBE optimized geometry
data_AcPm2Pr7
_chemical_formula_sum 'Ac2 Pm4 Pr14'
_cell_length_a 16.787
_cell_length_b 5.844
_cell_length_c 8.867
_cell_angle_alpha 90.00
_cell_angle_beta 119.32
_cell_angle_gamma 90.00
_space_group_name_H-M_alt 'C 1 2/m 1'
_space_group_IT_number 12
_space_group_name_Hall '-C 2y'
loop_
_atom_site_label
_atom_site_type_symbol
_atom_site_fract_x
_atom_site_fract_y
_atom_site_fract_z
Ac1 Ac 0.000 0.000 0.000
Pm1 Pm 0.239 0.000 0.283
Pr1 Pr 0.000 0.500 0.500
Pr2 Pr 0.118 0.500 0.287
Pr3 Pr 0.128 0.000 0.597
Pr4 Pr 0.156 0.500 0.958
# Formation energy from the elements ... 0.181 eV per atom
# Crystal system ... monoclinic

***

# Ac4Pm5Pr GGA-PBE optimized geometry
data_Ac4Pm5Pr
_chemical_formula_sum 'Ac8 Pm10 Pr2'
_cell_length_a 17.600
_cell_length_b 3.763
_cell_length_c 12.146
_cell_angle_alpha 90.00
_cell_angle_beta 90.10
_cell_angle_gamma 90.00
_space_group_name_H-M_alt 'C 1 2/m 1'
_space_group_IT_number 12
_space_group_name_Hall '-C 2y'
loop_
_atom_site_label
_atom_site_type_symbol
_atom_site_fract_x
_atom_site_fract_y
_atom_site_fract_z
Ac1 Ac 0.034 0.000 0.249
Ac2 Ac 0.168 0.500 0.750
Pm1 Pm 0.000 0.500 0.000
Pm2 Pm 0.171 0.000 0.036
Pm3 Pm 0.171 0.000 0.462
Pr1 Pr 0.000 0.500 0.500
# Formation energy from the elements ... 0.187 eV per atom
# Crystal system ... monoclinic

***

# Ac2Pm5Pr GGA-PBE optimized geometry
data_Ac2Pm5Pr
_chemical_formula_sum 'Ac4 Pm10 Pr2'
_cell_length_a 3.689
_cell_length_b 11.645
_cell_length_c 13.895
_cell_angle_alpha 90.00
_cell_angle_beta 90.00
_cell_angle_gamma 90.00
_space_group_name_H-M_alt 'I m m m'
_space_group_IT_number 71
_space_group_name_Hall '-I 2 2'
loop_
_atom_site_label
_atom_site_type_symbol
_atom_site_fract_x
____________

 An invisible hand that paints my life;

my mornings savour the taste of the coffee 

being poured sweetly with music in my mug. 

My window opens instantly with no password or a key. 

Watching the world flow beyond the mist gathered on the glass 

and feeling the warmth of the mist 

I gather in my heart the blending of the colour of my coffee 

and the tingling sensation of grey world out in the morning rush. 

Come and share with me once my bitter sweet coffee inside the room 

and beyond the glass of the window pane 

The world tinged with the shades of gray.

Sushama Karnik